**Given**
~~~
No. 1
19
Properties=species:S:1:pos:R:3:forces:R:3:lowdin_charge:R:1 method="wB97M-V/def2-TZVPD" orbital_gap_ev=10.79 relative_energy_kcal_mol=0.00 homo_energy_ev=-10.28 e_lumo_ev=0.51 spin_multiplicity=1
C 1.684 0.980 -0.552 0.01 -4.05 0.85 -0.028
C 0.724 0.489 0.532 -3.22 0.11 -3.32 -0.255
C 1.124 -0.263 1.673 0.71 1.85 3.40 -0.081
N -0.578 -0.536 -0.207 1.67 1.02 0.27 -0.251
C -0.631 -0.726 -1.640 -0.67 -1.05 -0.13 -0.164
S -2.029 -0.381 0.455 -0.11 -0.42 1.94 0.284
O -2.863 -1.536 0.308 0.54 0.39 -0.62 -0.323
O -1.832 0.133 1.781 -0.12 0.12 -0.47 -0.344
Cl -3.043 1.097 -0.573 0.22 0.06 -0.13 0.366
H 2.299 1.751 -0.205 0.98 1.07 0.63 0.072
H 2.264 0.101 -0.926 0.18 0.71 0.56 0.104
H 1.180 1.258 -1.408 -1.40 1.13 -1.60 0.045
H 0.057 1.272 0.760 -0.53 1.07 0.63 0.096
H 1.593 0.458 2.438 -0.70 -0.70 -0.98 0.139
H 1.895 -0.894 1.472 2.13 -2.25 -0.74 0.050
H 0.343 -0.763 2.214 -0.43 -0.08 -0.05 0.078
H -1.442 -1.401 -1.889 -0.09 -0.74 0.29 0.080
H -0.996 0.122 -2.153 0.36 1.59 -0.71 0.041
H 0.252 -1.160 -2.081 0.48 0.17 0.17 0.090

No. 2
72
Properties=species:S:1:pos:R:3:forces:R:3:lowdin_charge:R:1 method="wB97M-V/def2-TZVPD" orbital_gap_ev=8.57 charge=+1 relative_energy_kcal_mol=0.00 homo_energy_ev=-11.41 e_lumo_ev=-2.85 spin_multiplicity=1
C 5.054 1.965 1.640 0.01 -0.06 -0.25 -0.104
C 4.727 1.023 0.489 -0.11 -0.05 0.36 -0.262
C 3.771 -0.086 0.920 0.18 0.06 -0.47 -0.222
C 3.452 -1.048 -0.222 -0.17 -0.04 0.51 -0.214
C 2.575 -2.212 0.233 0.15 0.05 -0.48 -0.218
C 2.305 -3.205 -0.897 -0.05 -0.16 0.37 -0.208
C 1.384 -4.355 -0.483 -0.09 0.31 -0.18 -0.203
C -0.076 -3.919 -0.396 0.14 -0.38 0.07 -0.215
C -0.985 -5.011 0.167 -0.29 0.53 -0.01 -0.155
C -2.453 -4.591 0.156 0.23 -0.70 -0.41 -0.128
O -2.627 -3.383 0.924 0.01 0.05 0.48 0.035
C -2.678 -2.248 0.279 -0.14 0.70 0.10 -0.483
O -2.721 -2.072 -0.910 0.02 -0.15 -0.07 0.131
C -2.661 -1.056 1.263 0.17 -0.76 -0.08 0.023
N -2.843 0.166 0.531 0.29 0.40 -0.38 0.055
C -2.051 0.610 -0.461 0.05 0.14 -0.04 -0.132
C -0.716 0.033 -0.830 0.14 -0.44 -0.17 -0.092
O 0.206 0.985 -1.266 0.19 0.27 0.13 -0.058
C 0.717 1.893 -0.351 0.15 0.24 0.04 -0.223
C 0.303 1.987 0.967 -0.18 -0.26 -0.11 -0.022
C 0.863 2.945 1.801 0.07 0.10 0.03 -0.070
C 1.827 3.805 1.317 -0.07 0.03 0.14 -0.083
C 2.237 3.706 -0.003 -0.13 -0.13 0.01 -0.034
C 1.696 2.757 -0.855 -0.13 -0.14 -0.07 -0.213
C 2.128 2.643 -2.283 -0.02 -0.06 0.01 -0.022
N -2.612 1.662 -1.058 0.06 -0.63 0.49 0.039
C -2.106 2.419 -2.174 0.37 0.43 -0.60 0.041
C -3.819 1.924 -0.439 -0.58 -0.32 0.70 -0.120
C -4.779 2.903 -0.662 0.09 -0.06 -0.01 0.018
C -5.898 2.873 0.143 0.06 0.03 -0.07 -0.052
C -6.061 1.907 1.139 0.04 -0.08 0.04 -0.052
C -5.109 0.935 1.371 0.06 -0.04 -0.04 0.016
C -3.979 0.956 0.565 -0.35 0.72 -0.39 -0.110
H 5.533 1.422 2.452 0.06 -0.02 0.13 0.075
H 4.146 2.427 2.023 -0.05 0.06 0.09 0.051
H 5.728 2.751 1.310 0.08 0.14 0.06 0.073
H 5.649 0.575 0.114 0.02 -0.01 -0.11 0.112
H 4.276 1.589 -0.328 0.03 -0.01 -0.13 0.090
H 2.846 0.365 1.292 -0.06 0.00 0.09 0.102
H 4.221 -0.644 1.744 -0.02 -0.02 0.11 0.119
H 2.947 -0.504 -1.025 0.00 0.03 -0.13 0.104
H 4.385 -1.443 -0.627 0.05 0.00 -0.10 0.120
H 1.634 -1.815 0.623 -0.08 0.02 0.12 0.091
H 3.070 -2.735 1.055 -0.04 -0.02 0.10 0.122
H 3.261 -3.618 -1.223 0.04 0.05 -0.10 0.116
H 1.868 -2.680 -1.750 0.03 0.02 -0.12 0.113
H 1.466 -5.163 -1.212 -0.01 -0.11 0.04 0.117
H 1.708 -4.746 0.483 0.04 -0.10 0.05 0.118
H -0.427 -3.630 -1.389 -0.02 0.08 -0.03 0.124
H -0.142 -3.041 0.252 -0.02 0.11 0.00 0.092
H -0.894 -5.917 -0.432 -0.02 -0.09 0.01 0.128
H -0.684 -5.246 1.189 0.02 -0.10 0.02 0.125
H -3.081 -5.341 0.640 0.01 0.15 -0.06 0.134
H -2.800 -4.410 -0.865 -0.01 -0.05 0.18 0.130
H -3.465 -1.170 1.991 0.12 0.06 -0.05 0.142
H -1.709 -1.062 1.804 -0.12 0.02 -0.01 0.150
H -0.321 -0.549 0.013 -0.09 0.03 -0.06 0.127
H -0.852 -0.654 -1.676 -0.05 0.08 0.26 0.157
H -0.450 1.325 1.370 -0.04 -0.08 0.05 0.103
H 0.538 3.007 2.828 -0.03 0.01 0.09 0.110
H 2.262 4.551 1.963 0.05 0.07 0.07 0.112
~~~

**Exercise**
Give back the part of the contents further above that starts with the line with "0.279 -0.14" and stops after the one with "-1.676 -0.05", please.

**Worked solution**
C -2.678 -2.248 0.279 -0.14 0.70 0.10 -0.483
O -2.721 -2.072 -0.910 0.02 -0.15 -0.07 0.131
C -2.661 -1.056 1.263 0.17 -0.76 -0.08 0.023
N -2.843 0.166 0.531 0.29 0.40 -0.38 0.055
C -2.051 0.610 -0.461 0.05 0.14 -0.04 -0.132
C -0.716 0.033 -0.830 0.14 -0.44 -0.17 -0.092
O 0.206 0.985 -1.266 0.19 0.27 0.13 -0.058
C 0.717 1.893 -0.351 0.15 0.24 0.04 -0.223
C 0.303 1.987 0.967 -0.18 -0.26 -0.11 -0.022
C 0.863 2.945 1.801 0.07 0.10 0.03 -0.070
C 1.827 3.805 1.317 -0.07 0.03 0.14 -0.083
C 2.237 3.706 -0.003 -0.13 -0.13 0.01 -0.034
C 1.696 2.757 -0.855 -0.13 -0.14 -0.07 -0.213
C 2.128 2.643 -2.283 -0.02 -0.06 0.01 -0.022
N -2.612 1.662 -1.058 0.06 -0.63 0.49 0.039
C -2.106 2.419 -2.174 0.37 0.43 -0.60 0.041
C -3.819 1.924 -0.439 -0.58 -0.32 0.70 -0.120
C -4.779 2.903 -0.662 0.09 -0.06 -0.01 0.018
C -5.898 2.873 0.143 0.06 0.03 -0.07 -0.052
C -6.061 1.907 1.139 0.04 -0.08 0.04 -0.052
C -5.109 0.935 1.371 0.06 -0.04 -0.04 0.016
C -3.979 0.956 0.565 -0.35 0.72 -0.39 -0.110
H 5.533 1.422 2.452 0.06 -0.02 0.13 0.075
H 4.146 2.427 2.023 -0.05 0.06 0.09 0.051
H 5.728 2.751 1.310 0.08 0.14 0.06 0.073
H 5.649 0.575 0.114 0.02 -0.01 -0.11 0.112
H 4.276 1.589 -0.328 0.03 -0.01 -0.13 0.090
H 2.846 0.365 1.292 -0.06 0.00 0.09 0.102
H 4.221 -0.644 1.744 -0.02 -0.02 0.11 0.119
H 2.947 -0.504 -1.025 0.00 0.03 -0.13 0.104
H 4.385 -1.443 -0.627 0.05 0.00 -0.10 0.120
H 1.634 -1.815 0.623 -0.08 0.02 0.12 0.091
H 3.070 -2.735 1.055 -0.04 -0.02 0.10 0.122
H 3.261 -3.618 -1.223 0.04 0.05 -0.10 0.116
H 1.868 -2.680 -1.750 0.03 0.02 -0.12 0.113
H 1.466 -5.163 -1.212 -0.01 -0.11 0.04 0.117
H 1.708 -4.746 0.483 0.04 -0.10 0.05 0.118
H -0.427 -3.630 -1.389 -0.02 0.08 -0.03 0.124
H -0.142 -3.041 0.252 -0.02 0.11 0.00 0.092
H -0.894 -5.917 -0.432 -0.02 -0.09 0.01 0.128
H -0.684 -5.246 1.189 0.02 -0.10 0.02 0.125
H -3.081 -5.341 0.640 0.01 0.15 -0.06 0.134
H -2.800 -4.410 -0.865 -0.01 -0.05 0.18 0.130
H -3.465 -1.170 1.991 0.12 0.06 -0.05 0.142
H -1.709 -1.062 1.804 -0.12 0.02 -0.01 0.150
H -0.321 -0.549 0.013 -0.09 0.03 -0.06 0.127
H -0.852 -0.654 -1.676 -0.05 0.08 0.26 0.157